### Wanted
What is needed: give back every line further below that contains the word "does".

### Listing
-- begin --
Record 1
# MgCr2F12 meta-GGA r2SCAN relaxed
data_MgCr2F12
_cell_length_a 4.904
_cell_length_b 5.206
_cell_length_c 8.512
_cell_angle_alpha 73.84
_cell_angle_beta 89.86
_cell_angle_gamma 62.39
_space_group_name_H-M_alt 'P -1'
_space_group_IT_number 2
_space_group_name_Hall '-P 1'
loop_
_atom_site_label
_atom_site_type_symbol
_atom_site_fract_x
_atom_site_fract_y
_atom_site_fract_z
_atom_site_occupancy
Mg1 Mg 0.000 0.000 0.000 1
Cr1 Cr 0.256 0.509 0.739 1
F1 F 0.017 0.736 0.867 1
F2 F 0.035 0.269 0.427 1
F3 F 0.074 0.266 0.806 1
F4 F 0.428 0.738 0.700 1
F5 F 0.454 0.740 0.072 1
F6 F 0.497 0.268 0.637 1
# VASP energy ... -7.43 eV/atom
# Total magnetic moment ... 0.133 μB/atom



Record 2
# AsSe meta-GGA r2SCAN relaxed
data_AsSe
_cell_length_a 6.919
_cell_length_b 14.385
_cell_length_c 10.245
_cell_angle_alpha 90.00
_cell_angle_beta 113.20
_cell_angle_gamma 90.00
_space_group_name_H-M_alt 'P 1 21/c 1'
_space_group_IT_number 14
_space_group_name_Hall '-P 2ybc'
loop_
_atom_site_label
_atom_site_type_symbol
_atom_site_fract_x
_atom_site_fract_y
_atom_site_fract_z
_atom_site_occupancy
As1 As 0.042 0.143 0.425 1
As2 As 0.143 0.010 0.881 1
As3 As 0.182 0.663 0.456 1
As4 As 0.362 0.626 0.175 1
Se1 Se 0.084 0.234 0.244 1
Se2 Se 0.142 0.001 0.346 1
Se3 Se 0.405 0.023 0.785 1
Se4 Se 0.462 0.711 0.392 1
# VASP energy ... -14.63 eV/atom
# Total magnetic moment ... 0.000 μB/atom



Which value of VASP energy does entry 2 give? -14.63 eV/atom



Which of these has the lowest VASP energy? AsSe



VASP energy of number 1 (MgCr2F12)? -7.43 eV/atom



Which of these has the highest total magnetic moment? MgCr2F12
-- stop --

### Outcome
Which value of VASP energy does entry 2 give? -14.63 eV/atom